Indian Head Elementary
School-wide System of
Behavior Support
2005 – 2006
Toni Melton, Principal
Deborah M. Brown, Vice Principal
Genevieve Crawford, Psychologist
Indian Head Elementary School has been created to provide behavioral support for our yellow zone students. These are students who fail to respond to school-wide and classroom expectations. These students are not currently engaging in dangerous or extremely disruptive behavior. The intent is to prevent them from becoming red-zone students. The goal is to decrease problem behavior in our classrooms, increase academic involvement and reduce office referrals.
This program is based on the research of Leanne Hawken, Ph.D, University of Utah. We received training at the PBIS Conference in July of 2005.
For Whom is the BEP Appropriate?
- Low level problem behavior (not severe)
- 3 –7 referrals Behavior occurs across multiple locations
- Examples
-talking out
-minor disruptioms
-work completion
- Serious or violent behaviors/infractions
- Extreme chronic behavior (8 to 10 referrals)
- Require more individual support
-Functional assessment
-Wrap around services
- one on one assistant
- behavior specialist involved
Dream Card Implementation
- Train staff
- The principal, vice principal, guidance counselor and psychologist will identify the students for the first round of the program based on the criteria developed.
- Students will be taught how the check-in/check-out program will work.
- The check-in/check-out location is the speech room.
- Beth Chotkowski and Maggie Boyd will be the check-in/check-out coordinators.
- The children will check-in each day before going to breakfast.
- Check-out will follow this schedule:
3:10 – 5th grade
3:20 – 4th grade
3:30 – 2nd and 3rd
- Children will shop when they have met their goal 5 times.
- All children will be given a dream catcher for checking-in and checking-out each day. Each child who does this all week will be entered into a drawing for a prize.
- The principal, vice principal, guidance counselor and psychologist will meet bi-weekly to monitor the student’s progress. This is also the time when other students will be considered for the program.
- When a student has met his/her goal 90% of the time for 6 weeks consecutively, he/she will begin a self-monitoring period. The student will fill out a dream card and the teacher will also. Then the cards will be compared. When the student is matching the teacher for 90% of the items on the dream card, he/she can be moved to an independent self-monitoring card.
- Children who are moving to independent self-monitoring will be invited to a lunch celebration and given a certificate of success.
- Children who are independently self-monitoring will meet on a monthly basis with the principal, vice principal, counselor or psychologist to discuss how they are doing.
Indian Head Dream Card Program
The goal of offering rewards to students who are demonstrating appropriate behavior is provide positive adult contact between students and key adults at school.
Things to know about rewards
- One of the most effective things we can do to increase our student’s appropriate behavior is to notice and say something positive as soon as we see behavior we like.
- In addition to positive comments, students on the Indian Head Dream Card Program can also earn other rewards when they check in, check out or meet their daily goal.
Check in/check out lottery:
The purpose of this reward is to help motivate students to check out each day. Knowing that they have an opportunity for a reward helps in getting them to check out. Children receive a dream catcher for checking-in and checking-out each day. At the end of the week, all students who have checked-in and checked-out each day will be placed in a drawing.
Reward for meeting daily point goal:
Check out and meet a daily point goal earns this reward.
Reward for meeting consistent daily goal reward:
Students having 5 cumulative days of meeting their daily goal are able to go shopping for a reward.
Indian Head Dream Card Program Graduation reward:
Students who graduate from the Indian Head Dream Card Program by consistently meeting their daily goal move to a “Self Monitoring Program”. In this program they earn a Celebration Lunch and recognition for being successful in the Dream Card Program.
Teaching Students how to Participate in the
Dream Program
The purpose of this lesson plan is to teach students who are new to the Dream Program the expectations of the program and how to accept feedback. .You’ll be giving students many opportunities of seeing, hearing and doing the expectation correctly and a few examples of what not to do. (Plan on about 15 minutes for this activity and have a copy of the Dream Card to show the student).
First step: Introduce the student to the program and give a brief explanation of what you are going to talk about. Say something like, “Today we’re going to learn about the Dream Program. This will help you be more successful in school and we are going to practice today so that you’ll know how to be really good at doing this and so you can earn all your points.”
Second step: Show the student the Dream Card and go through each of the parts of the card. Describe the meaning of each score for each expectation. Ask the student to demonstrate the expectations such as “keeping hands, feet and objects to themselves.” Use lots of praise for demonstrating the expectation and circle the two on the Dream Card example. Practice another expectations if necessary. Let the student choose a sticker card to use for each contract at their goal.
Third Step: Show how the points are added up to give a score for the day. (48 points is the highest) and what the student’s goal will be. Use more detail in this section for the older students. Tell them they will need to pickup their Dream Card every day before school and to return them to you at the end of the day. Show them what they need to earn for the first 5 contracts (75%) and the rest will be 85%.
Fourth Step: Show the student the other parts of the report including the section fro parent signature. Tell them that they will be taking a copy of the Dream Card home to show their parents and will need to bring it back signed the next day.
Fifth step: Show the student where they will check in and pick up their Dream Card in the morning and return the signed copy.
Sixth step: Show the student how they get a sticker on their chart each time they pick up and return their Dream Card. The children who pick and return their cards each day will be entered into a drawing for a “Dream” prize at the end of the week. The prize will be given on the following Monday.
Indian Head Program
TIPS for Providing Feedback during Check-in, Check-out and In Class
Things to say at check in…
- Wow! You brought back your Indian Head Report signed!
- You’re here on time again -Great!
- Looks like you’re all set to go
- It’s great to see you this morning
- Looks like you’re ready for a good day
- You’re off to a good start
- You look so nice this morning
- You look happy to be here this morning
- I like the way you said “good morning”
- Thanks for coming to check in
- Sounds like you had a good weekend
- We missed you yesterday (if student was absent), nice to see you today
Things to say at check out….
- You had a great (awesome, terrific, etc) day!
- You’re right on target
- Your mom/dad is going to be so proud of you
- You’re really working hard!
- You are such a good student
- You made your goal- wow!
- Looks like today didn’t go so well- I know you can do it tomorrow
- I know it was a tough day- thanks for coming to check out
- We all have bad days once and awhile- I know you can do it tomorrow
- You look a little frustrated- what happened?*
*If a student looks upset take a few minutes to “just listen”
- Looks like you were having some trouble today. I know you can turn it around tomorrow.
These are the students who will begin the program on Monday. We will meet with them to explain the program during the day. The actual check-in/check-out will begin on Tuesday. Mrs. Chotkowski and Mrs. Boyd will be the coordinators. Will are modifying the program for K and 1 and that program will start on October 10.
Tracy C
Jade M
Rhobney F
Donovan H
Robert J
Daquan L
John M
Russell R
Michael Y
Corinna S
## Next to the text, the page also holds records of molecules
No. 1
Below is a molecular structure, C41H63Br48N7O6PS at a distorted geometry, with properties calculated with ωB97M-V/def2-TZVPD.

F_max = 0.115 hartree/bohr
Charge = +1
Total energy = -126726.408371 a.u.
E_LUMO = -2.647 eV

CARTESIAN COORDINATES (ANGSTROEM)
C 0.4699 -1.4488 4.0116
C -0.3625 -2.7461 3.7592
O -0.4007 -3.5480 4.5917
O -0.9849 -2.8913 2.5284
C -2.3658 -2.5364 2.8052
C -3.1144 -1.7761 1.6476
C -2.5081 -1.9094 0.2045
C -3.1317 -0.7012 -0.6338
C -3.3595 -1.0539 -2.1376
C -2.1031 -0.8323 -3.0699
C -1.8902 0.7060 -3.3591
C -0.3883 1.1953 -3.2031
N 0.2608 0.8341 -1.9344
C -0.0352 1.3168 -0.7484
N 0.5155 0.9925 0.4643
C -0.1087 1.6848 1.4822
N -1.0145 2.4220 0.8236
C -1.9058 3.2893 1.6154
C -2.6945 2.4823 2.7109
C -3.8257 1.5873 2.0783
C -5.0693 2.4565 1.6627
S -6.0357 1.6565 0.2890
C -6.2374 -0.0803 0.6906
N -6.8181 -0.9223 -0.1539
N -6.8171 -2.1620 0.3902
C -6.2226 -1.9997 1.5530
O -5.8337 -0.7427 1.8271
N -0.9989 2.2692 -0.4889
O -1.8760 2.9443 -1.2385
C -1.4870 4.2338 -1.7823
C -0.5317 5.1714 -0.9761
C -1.4303 6.2740 -0.2572
C 0.4037 6.0086 -1.9681
C 1.8932 6.0722 -1.4234
C 1.9945 6.6947 0.0101
C 2.6219 4.6754 -1.5180
P 1.5639 -0.3607 -1.9657
N 1.3075 -1.5083 -0.9587
O 1.7399 -1.0471 -3.4540
O 2.9608 0.4705 -1.6193
H 0.9724 -1.1926 3.0556
H 1.1840 -1.5772 4.8402
H -0.2625 -0.6418 4.2686
H -2.3347 -1.8293 3.6743
H -2.9329 -3.4264 3.1452
H -3.1561 -0.6966 1.9262
H -4.1736 -2.1329 1.6727
H -2.8130 -2.8980 -0.1994
H -1.4053 -1.8002 0.2023
H -4.1495 -0.5460 -0.1871
H -2.5732 0.2437 -0.4608
H -4.1719 -0.4198 -2.5513
H -3.6561 -2.1222 -2.2560
H -1.2348 -1.3239 -2.5782
H -2.2744 -1.3904 -4.0175
H -2.1034 0.8331 -4.4510
H -2.5979 1.3647 -2.8214
H -0.2922 2.2945 -3.3163
H 0.1336 0.7562 -4.0840
H 0.0792 1.6203 2.5576
H -2.6657 3.8176 1.0141
H -1.2899 4.0431 2.1512
H -3.2331 3.2290 3.3477
H -2.0383 1.9170 3.4014
H -4.1774 0.9230 2.8977
H -3.4597 1.0279 1.1958
H -4.7714 3.4637 1.2884
H -5.7675 2.5980 2.5117
H -6.1144 -2.8864 2.1862
H -2.4429 4.7997 -1.9005
H -1.0852 4.1689 -2.8254
H 0.1550 4.7022 -0.2497
H -1.7447 7.0158 -1.0291
H -0.8393 6.8004 0.5264
H -2.3709 5.8524 0.1545
H 0.0218 7.0375 -2.1228
H 0.4846 5.5360 -2.9723
H 2.4525 6.7222 -2.1454
H 3.0669 6.9057 0.2025
H 1.6955 5.8980 0.7370
H 1.3483 7.5879 0.1098
H 3.0396 4.5483 -2.5438
H 3.5173 4.7618 -0.8481
H 1.9733 3.8259 -1.2135
H 1.2944 -2.3803 -1.4861
H 2.0826 -0.3666 -4.0550
H 3.0818 1.1783 -2.2707
C -9.2020 3.0699 4.2186
Br -9.3187 1.6148 5.4837
Br -8.4433 4.6581 5.0171
Br -8.2484 2.5489 2.6176
H -10.2132 3.3153 3.9208
C -5.8203 0.0073 5.0155
Br -3.8920 -0.1719 4.9801
Br -6.6915 -1.6842 4.6989
Br -6.4348 0.8396 6.6451
H -6.0955 0.6654 4.1998
C 3.7465 0.1219 6.2956
Br 4.8446 -1.2656 5.5031
Br 2.5695 0.9839 5.0182
Br 2.7502 -0.5424 7.8104
H 4.4234 0.8809 6.6656
C 7.2948 -1.4556 1.9720
Br 9.1455 -1.1939 1.4825
Br 6.0979 -0.8843 0.5723
Br 6.9469 -3.2774 2.5146
H 7.1031 -0.8273 2.8329
C 1.8271 -3.4244 -6.5863
Br 1.1278 -1.6489 -6.9097
Br 1.2942 -4.0868 -4.8535
Br 1.3628 -4.6526 -8.0011
Aaron T
Dream Card Check-in/Check-out
Student / % / Goal / Check-in / Check-out / Parent signedTracy
Dream Card %
Points / % / Points / %48 / 100 / 26 / 54
47 / 98 / 25 / 52
46 / 96 / 24 / 50
45 / 94 / 23 / 48
44 / 92 / 22 / 46
43 / 90 / 21 / 44
42 / 88 / 20 / 42
41 / 85 / 19 / 40
40 / 83 / 18 / 38
39 / 81 / 17 / 35
38 / 79 / 16 / 33
37 / 77 / 15 / 31
36 / 75 / 14 / 29
35 / 73 / 13 / 27
34 / 71 / 12 / 25
33 / 69 / 11 / 23
32 / 67 / 10 / 21
31 / 65 / 9 / 19
30 / 63 / 8 / 17
29 / 60 / 7 / 15
28 / 58 / 6 / 13
27 / 56 / 5 / 10
4 / 8
3 / 6
2 / 4
1 / 2
Check-in/ Check Out
Recommended student______
Has the child been retained? Yes No Grade______
Absences and tardies______
History of behavior difficulty (prior years) yes no
What are the behaviors?______